_Listing_
- - -
(1)
HfTa | GGA-PBE | relaxed

DFT total energy in eV/cell: -21.48
Space group: Cmmm, No. 65
Energy relative to the elements in meV/atom: 162

Unit cell a=2.9497 b=2.9497 c=4.8632 alpha=90.00 beta=90.00 gamma=109.68
With the nearest neighbours (Å) after each atom.
Positions (direct):
Hf (0.0000, 0.0000, 0.0000)  4 Hf 2.95, 4 Ta 2.97
Ta (0.5000, 0.5000, 0.5000)  4 Ta 2.95, 4 Hf 2.97



(2)
CaNi2AsW | GGA-PBE | relaxed

DFT total energy in eV/cell: -20.46
Space group: P4/mmm, No. 123
Energy relative to the elements in meV/atom: 2142

Unit cell a=4.3324 b=4.3324 c=5.1535 alpha=90.00 beta=90.00 gamma=90.00
With the nearest neighbours (Å) after each atom.
Positions (direct):
Ca (0.0000, 0.0000, 0.0000)  4 Ni 2.17
Ni (0.0000, 0.5000, 0.0000)  2 Ca 2.17
Ni (0.5000, 0.0000, 0.0000)  2 Ca 2.17
As (0.5000, 0.5000, 0.5000)  4 W 3.06, 8 Ni 3.37
W (0.0000, 0.0000, 0.5000)  2 Ca 2.58



(3)
HgBiSb2 | GGA-PBE | relaxed

DFT total energy in eV/cell: -12.00
Space group: Cm, No. 8
Formation energy without anion corrections in eV/atom: 0.107
Polymorph energy (0 for the lowest one) in meV per atom: 0

Unit cell a=3.3258 b=3.3258 c=12.4832 alpha=94.12 beta=94.12 gamma=60.80
With the nearest neighbours (Å) after each atom.
Positions (direct):
Hg (0.0000, 0.0000, 0.0000)  1 Sb 3.09, 1 Bi 3.16, 6 Hg 3.33-3.37
Bi (0.9613, 0.9613, 0.2514)  1 Hg 3.16, 1 Sb 3.21, 6 Bi 3.33-3.37
Sb (0.0337, 0.0337, 0.7545)  7 Sb 3.05-3.37, 1 Hg 3.09
Sb (0.9936, 0.9936, 0.5094)  7 Sb 3.05-3.37, 1 Bi 3.21



(4)
CsSn2Cl7 | GGA-PBE | relaxed

DFT total energy in eV/cell: -32.55
Space group: Cmmm, No. 65
Formation energy without anion corrections in eV/atom: -1.076

Unit cell a=8.0801 b=8.0801 c=5.2574 alpha=90.00 beta=90.00 gamma=115.46
With the nearest neighbours (Å) after each atom.
Positions (direct):
Cs (0.0000, 0.0000, 0.0000)  8 Cl 3.62
Sn (0.2986, 0.7014, 0.5000)  7 Cl 2.63-2.84
Sn (0.7014, 0.2986, 0.5000)  7 Cl 2.63-2.84
Cl (0.0453, 0.3256, 0.5000)  2 Sn 2.69-2.84
Cl (0.3002, 0.6998, 0.0000)  2 Sn 2.63
Cl (0.3256, 0.0453, 0.5000)  2 Sn 2.69-2.84
Cl (0.5000, 0.5000, 0.5000)  2 Sn 2.75
Cl (0.6744, 0.9547, 0.5000)  2 Sn 2.69-2.84
Cl (0.6998, 0.3002, 0.0000)  2 Sn 2.63
Cl (0.9547, 0.6744, 0.5000)  2 Sn 2.69-2.84



(5)
Nd3Tl2Cd | GGA-PBE | relaxed

DFT total energy in eV/cell: -44.33
Space group: P-3m1, No. 164
Energy relative to the elements in meV/atom: -369
Polymorph energy (0 for the lowest one) in meV per atom: 0

Unit cell a=5.5044 b=5.5044 c=13.4988 alpha=90.00 beta=90.00 gamma=120.00
With the nearest neighbours (Å) after each atom.
Positions (direct):
Nd (0.0000, 0.0000, 0.2482)  5 Tl 3.35-3.40, 3 Cd 3.36
Nd (0.0000, 0.0000, 0.7518)  5 Tl 3.35-3.40, 3 Cd 3.36
Nd (0.3333, 0.6667, 0.4159)  1 Cd 3.34, 7 Tl 3.37-3.45
Nd (0.3333, 0.6667, 0.9180)  4 Tl 3.33-3.37, 4 Cd 3.38
Nd (0.6667, 0.3333, 0.0820)  4 Tl 3.33-3.37, 4 Cd 3.38
Nd (0.6667, 0.3333, 0.5841)  1 Cd 3.34, 7 Tl 3.37-3.45
Tl (0.0000, 0.0000, 0.0000)  8 Nd 3.35-3.37
Tl (0.0000, 0.0000, 0.5000)  8 Nd 3.37-3.40
Tl (0.3333, 0.6667, 0.6713)  8 Nd 3.33-3.45
Tl (0.6667, 0.3333, 0.3287)  8 Nd 3.33-3.45
Cd (0.3333, 0.6667, 0.1682)  8 Nd 3.34-3.38
Cd (0.6667, 0.3333, 0.8318)  8 Nd 3.34-3.38



(6)
Nd2CoI | GGA-PBE | relaxed

DFT total energy in eV/cell: -19.58
Space group: P4/mmm, No. 123
Formation energy without anion corrections in eV/atom: -0.348
Polymorph energy (0 for the lowest one) in meV per atom: 226

Unit cell a=3.5661 b=3.5661 c=8.4506 alpha=90.00 beta=90.00 gamma=90.00
With the nearest neighbours (Å) after each atom.
Positions (direct):
Nd (0.0000, 0.0000, 0.2006)  4 Co 3.04, 1 Nd 3.39
Nd (0.0000, 0.0000, 0.7994)  4 Co 3.04, 1 Nd 3.39
Co (0.5000, 0.5000, 0.0000)  8 Nd 3.04
I (0.5000, 0.5000, 0.5000)  4 I 3.57, 8 Nd 3.57



(7)
BaRe2Mo | GGA-PBE | relaxed

DFT total energy in eV/cell: -31.82
Space group: C2/m, No. 12
Energy relative to the elements in meV/atom: 1458
Polymorph energy (0 for the lowest one) in meV per atom: 692

Unit cell a=5.7008 b=5.7008 c=2.8338 alpha=98.67 beta=98.67 gamma=120.21
- - -

_Brief_
Find "3.09," and "(0.2986, 0.7014," in the lines further above, and echo these two lines and those between, please.

_Response_
Hg (0.0000, 0.0000, 0.0000)  1 Sb 3.09, 1 Bi 3.16, 6 Hg 3.33-3.37
Bi (0.9613, 0.9613, 0.2514)  1 Hg 3.16, 1 Sb 3.21, 6 Bi 3.33-3.37
Sb (0.0337, 0.0337, 0.7545)  7 Sb 3.05-3.37, 1 Hg 3.09
Sb (0.9936, 0.9936, 0.5094)  7 Sb 3.05-3.37, 1 Bi 3.21



(4)
CsSn2Cl7 | GGA-PBE | relaxed

DFT total energy in eV/cell: -32.55
Space group: Cmmm, No. 65
Formation energy without anion corrections in eV/atom: -1.076

Unit cell a=8.0801 b=8.0801 c=5.2574 alpha=90.00 beta=90.00 gamma=115.46
With the nearest neighbours (Å) after each atom.
Positions (direct):
Cs (0.0000, 0.0000, 0.0000)  8 Cl 3.62
Sn (0.2986, 0.7014, 0.5000)  7 Cl 2.63-2.84